Material >
┌──
Entry 1:
Molecular formula: C6H10
Method: DFT, the ωB97M-V functional and the def2-TZVPD basis

total charge = 0
structure (SMILES) = C1=CCCCC1
largest force on an atom = 1.786 eV/Å
multiplicity = 1
HOMO-LUMO gap = 10.46 eV
HOMO level = -9.262 eV

Structure (XYZ):
```
16
Properties=species:S:1:pos:R:3:lowdin_charge:R:1
C -1.1982 0.7960 0.3917 -0.188
C 1.2228 0.8863 -0.5018 -0.126
C -0.0775 -1.2369 -0.2947 -0.234
C 1.2973 -0.6263 -0.4747 -0.215
C -0.8712 -0.6247 0.8402 -0.234
C 0.1276 1.5622 -0.1375 -0.065
H -1.5703 1.4129 1.2096 0.089
H -0.2839 -0.5987 1.7583 0.112
H -0.0605 -2.3269 -0.2560 0.106
H -0.6919 -0.9274 -1.1970 0.131
H 1.9639 -0.9325 0.3416 0.112
H -1.7797 -1.2027 1.0570 0.110
H 0.0978 2.6614 -0.1897 0.091
H 2.1254 1.3980 -0.8385 0.095
H 1.7589 -0.9928 -1.4023 0.110
H -2.0603 0.7521 -0.3061 0.107
```

***

Entry 2:
Molecular formula: C6H10
Method: DFT, the ωB97M-V functional and the def2-TZVPD basis

total charge = 0
largest force on an atom = 0.702 eV/Å
multiplicity = 1
HOMO-LUMO gap = 9.68 eV
HOMO level = -9.640 eV

Structure (XYZ):
```
16
Properties=species:S:1:pos:R:3:lowdin_charge:R:1
C 0.8851 0.3466 -1.8348 0.241
C -1.2997 -1.2302 -0.4666 -0.083
C 0.8446 0.0983 -0.5543 -0.457
C 2.2108 0.2515 0.0977 -0.075
C -1.0980 0.9585 0.7818 -0.072
C -0.3585 -0.2904 0.2889 -0.414
H -1.5497 1.4892 -0.0632 0.086
H -1.7134 -0.7369 -1.3540 0.083
H -0.4260 1.6545 1.2954 0.077
H 2.1590 0.9794 0.9148 0.084
H -1.8968 0.6806 1.4791 0.079
H 0.0350 -0.8238 1.1657 0.134
H -2.1379 -1.5311 0.1717 0.078
H 2.9734 0.5884 -0.6112 0.073
H 2.5293 -0.7142 0.5053 0.086
H -0.7739 -2.1306 -0.7982 0.082
```

***

Entry 3:
Molecular formula: C6H10
Method: DFT, the ωB97M-V functional and the def2-TZVPD basis

total charge = 0
structure (SMILES) = C=CC(=C)CC
largest force on an atom = 4.362 eV/Å
multiplicity = 1
HOMO-LUMO gap = 9.93 eV
HOMO level = -8.868 eV

Structure (XYZ):
```
16
Properties=species:S:1:pos:R:3:lowdin_charge:R:1
C 0.0443 1.1146 0.4110 -0.202
C 0.8120 -1.7179 1.1122 0.002
C 0.4455 -1.2962 -0.0993 -0.192
C -1.4167 0.8133 0.5162 -0.128
C 0.4565 0.0678 -0.6521 -0.356
C 0.7106 0.4040 -1.9217 0.055
H 0.6512 -2.7101 1.5662 0.055
H -0.0054 -1.9969 -0.8005 0.106
H -2.1414 0.5513 -0.3014 0.102
H -1.6816 -0.0690 1.0951 0.070
H 1.0519 -0.3747 -2.5895 0.062
H 0.3841 2.0263 -0.1250 0.113
H 0.7107 0.9658 1.2427 0.083
H 0.6538 1.3913 -2.2542 0.041
H -1.9565 1.6654 0.9191 0.063
H 1.2812 -0.8351 1.8812 0.126
```

***

Entry 4:
Molecular formula: C6H10
Method: DFT, the ωB97M-V functional and the def2-TZVPD basis

total charge = 0
structure (SMILES) = C1=C[C@H]2C[C@H]2C1.[H][H]
largest force on an atom = 1.007 eV/Å
multiplicity = 1
HOMO-LUMO gap = 9.86 eV
HOMO level = -8.601 eV

Structure (XYZ):
```
16
Properties=species:S:1:pos:R:3:lowdin_charge:R:1
C -0.6632 -0.8389 0.5564 -0.194
C 0.7977 0.0349 -1.1283 -0.150
C 0.7277 -0.7916 1.0728 -0.114
C -1.4838 0.4188 -0.0487 -0.115
C 1.5070 -0.1544 0.1994 -0.159
C -0.6442 -0.4642 -0.8960 -0.271
H -2.5311 0.1914 0.0954 0.088
H 1.0226 -1.1230 2.0662 0.106
H 2.5032 0.2356 0.3960 0.105
H 0.5932 1.6009 0.9958 0.082
H -0.1472 1.6014 0.9857 0.065
H -1.1044 -1.0613 -1.6715 0.129
H -1.3450 -1.5900 0.9491 0.125
H 0.8497 1.0588 -1.5213 0.114
H 1.2902 -0.6182 -1.8552 0.110
H -1.3722 1.5000 -0.1956 0.080
```

***

Which formula does entry 3 have? C6H10

* * * * *

Record 1
An isolated molecule of C4H10S2 in a non-equilibrium geometry, computed with ωB97M-V/def2-TZVPD.

```
16
Properties=species:S:1:pos:R:3:forces:R:3:lowdin_charge:R:1
C 0.9206 -2.6240 -0.4803 -2.811 1.387 0.230 -0.1260
C 1.1374 -1.4127 0.4984 2.014 -2.862 1.497 -0.3762
C 1.4815 -0.0717 -0.1392 3.673 -1.831 1.408 -0.7567
S 0.3040 0.4983 -1.1814 -4.477 1.205 0.470 0.6657
S -1.4889 0.5002 0.5846 1.295 -1.386 -2.783 0.5457
C -1.2406 2.1298 1.1135 3.374 2.721 -1.543 -0.6221
H 0.5951 -3.5537 -0.0269 1.116 -0.340 0.898 0.0552
H -0.1478 -2.4059 -0.7793 1.251 0.049 -1.379 0.0658
H 1.6528 -2.8109 -1.2795 -0.471 0.391 0.247 0.0760
└──

To do >
Your job: find "-0.7982 0.082" and "0.0658" in the rows further above, and echo these two lines and those between.

Done >
H -0.7739 -2.1306 -0.7982 0.082
```

***

Entry 3:
Molecular formula: C6H10
Method: DFT, the ωB97M-V functional and the def2-TZVPD basis

total charge = 0
structure (SMILES) = C=CC(=C)CC
largest force on an atom = 4.362 eV/Å
multiplicity = 1
HOMO-LUMO gap = 9.93 eV
HOMO level = -8.868 eV

Structure (XYZ):
```
16
Properties=species:S:1:pos:R:3:lowdin_charge:R:1
C 0.0443 1.1146 0.4110 -0.202
C 0.8120 -1.7179 1.1122 0.002
C 0.4455 -1.2962 -0.0993 -0.192
C -1.4167 0.8133 0.5162 -0.128
C 0.4565 0.0678 -0.6521 -0.356
C 0.7106 0.4040 -1.9217 0.055
H 0.6512 -2.7101 1.5662 0.055
H -0.0054 -1.9969 -0.8005 0.106
H -2.1414 0.5513 -0.3014 0.102
H -1.6816 -0.0690 1.0951 0.070
H 1.0519 -0.3747 -2.5895 0.062
H 0.3841 2.0263 -0.1250 0.113
H 0.7107 0.9658 1.2427 0.083
H 0.6538 1.3913 -2.2542 0.041
H -1.9565 1.6654 0.9191 0.063
H 1.2812 -0.8351 1.8812 0.126
```

***

Entry 4:
Molecular formula: C6H10
Method: DFT, the ωB97M-V functional and the def2-TZVPD basis

total charge = 0
structure (SMILES) = C1=C[C@H]2C[C@H]2C1.[H][H]
largest force on an atom = 1.007 eV/Å
multiplicity = 1
HOMO-LUMO gap = 9.86 eV
HOMO level = -8.601 eV

Structure (XYZ):
```
16
Properties=species:S:1:pos:R:3:lowdin_charge:R:1
C -0.6632 -0.8389 0.5564 -0.194
C 0.7977 0.0349 -1.1283 -0.150
C 0.7277 -0.7916 1.0728 -0.114
C -1.4838 0.4188 -0.0487 -0.115
C 1.5070 -0.1544 0.1994 -0.159
C -0.6442 -0.4642 -0.8960 -0.271
H -2.5311 0.1914 0.0954 0.088
H 1.0226 -1.1230 2.0662 0.106
H 2.5032 0.2356 0.3960 0.105
H 0.5932 1.6009 0.9958 0.082
H -0.1472 1.6014 0.9857 0.065
H -1.1044 -1.0613 -1.6715 0.129
H -1.3450 -1.5900 0.9491 0.125
H 0.8497 1.0588 -1.5213 0.114
H 1.2902 -0.6182 -1.8552 0.110
H -1.3722 1.5000 -0.1956 0.080
```

***

Which formula does entry 3 have? C6H10

* * * * *

Record 1
An isolated molecule of C4H10S2 in a non-equilibrium geometry, computed with ωB97M-V/def2-TZVPD.

```
16
Properties=species:S:1:pos:R:3:forces:R:3:lowdin_charge:R:1
C 0.9206 -2.6240 -0.4803 -2.811 1.387 0.230 -0.1260
C 1.1374 -1.4127 0.4984 2.014 -2.862 1.497 -0.3762
C 1.4815 -0.0717 -0.1392 3.673 -1.831 1.408 -0.7567
S 0.3040 0.4983 -1.1814 -4.477 1.205 0.470 0.6657
S -1.4889 0.5002 0.5846 1.295 -1.386 -2.783 0.5457
C -1.2406 2.1298 1.1135 3.374 2.721 -1.543 -0.6221
H 0.5951 -3.5537 -0.0269 1.116 -0.340 0.898 0.0552
H -0.1478 -2.4059 -0.7793 1.251 0.049 -1.379 0.0658